**Job**
Find the line further down that holds "9.12 eV", then reproduce that line and all lines after it there, please.

**Contents**
/*
No. 1
DFT (the ωB97M-V functional and the def2-TZVPD basis) results for C5H5FO6S in the gas phase at a distorted geometry.

Positions of all 18 atoms, in Å:
C -1.6944 -2.0436 -0.4135
C -0.9491 -0.9323 0.0849
C 0.1377 0.3391 0.0746
C -0.5345 1.8363 -0.1073
O -1.1717 2.0174 -1.4209
O -2.3780 1.5180 -1.4582
O 1.2055 0.1579 -0.9642
S 1.9322 -1.3095 -0.3797
O 1.4909 -2.5340 -1.2726
O 3.4999 -1.4018 -0.5367
O 1.3654 -1.4021 1.2616
C 0.9948 0.0351 1.4737
F 0.0125 0.0260 2.5941
H -2.2073 -3.0110 -0.8892
H 0.3611 2.6233 -0.0506
H -1.2544 2.1314 0.7968
H -2.6648 1.1701 -0.5606
H 1.8542 0.7799 1.7680

Output
Kohn-Sham gap = 8.86 eV
spin multiplicity = 1
total energy = -31089.95999 eV
lowest unoccupied orbital energy = -0.032 Eh
maximum force = 10.3 eV/A
HOMO = -0.358 Ha
molar mass = 212.2 g/mol

Here are the Löwdin charges for atoms 1 to 6, given in e: 0.148 -0.010 -0.310 -0.073 -0.177 -0.061

No. 2
DFT (the ωB97M-V functional and the def2-TZVPD basis) results for C5H5I2N in the gas phase at a distorted geometry.

Positions of all 13 atoms, in Å:
C 1.4389 0.8633 -1.0990
C 0.2223 0.3583 -0.5883
C 0.1710 0.3234 0.9283
C 0.0316 -1.0746 -1.1336
C -0.9235 0.5135 1.6725
N 2.3742 1.2595 -1.6662
I -2.0609 -1.7711 -0.9111
I -0.7934 0.6760 3.6708
H -0.6176 1.1013 -0.9689
H 1.1179 0.4035 1.5470
H 0.2678 -1.1547 -2.1424
H 0.6040 -1.7159 -0.5445
H -1.8322 0.2174 1.2356

Output
Kohn-Sham gap = 9.12 eV
spin multiplicity = 1
ΔE to the lowest compared entry with this formula, charge and spin = 3.0 kcal per mole
total energy = -22955.52501 eV
lowest unoccupied orbital energy = -0.008 Eh
maximum force = 3.7 eV/A
HOMO = -0.344 Ha
molar mass = 332.9 g/mol

Here are the Löwdin charges for atoms 1 to 6, given in e: -0.228 -0.425 -0.253 -0.504 -0.748 0.178

No. 3
DFT (the ωB97M-V functional and the def2-TZVPD basis) results for C5H5N in the gas phase at a distorted geometry.

Positions of all 11 atoms, in Å:
C -1.1710 -2.2489 0.3976
C -0.4962 -1.3937 -0.1086
C 0.2962 -0.2799 -0.6079
C 0.0434 0.8944 0.3528
C 0.9141 2.0338 0.0734
N 1.5904 2.9258 -0.2151
H -1.7131 -3.0965 0.7417
H 1.3581 -0.5492 -0.6317
H 0.0032 -0.0431 -1.6369
H -0.9945 1.2248 0.2535
H 0.1695 0.5326 1.3812

Output
Kohn-Sham gap = 11.36 eV
spin multiplicity = 1
ΔE to the lowest compared entry with this formula, charge and spin = 46.7 kcal per mole
total energy = -6753.88091 eV
lowest unoccupied orbital energy = 0.028 Eh
maximum force = 1.1 eV/A
HOMO = -0.390 Ha
molar mass = 79.1 g/mol

Here are the Löwdin charges for atoms 1 to 6, given in e: 0.120 -0.163 -0.211 -0.190 -0.228 0.141

----------

# 1
C4H7Cl2NO2 | wB97M-V/def2-TZVPD

```
16
Properties=species:S:1:pos:R:3:forces:R:3
C 1.598 -0.896 -2.036 1.85 0.13 -0.27
C 1.430 -1.144 -0.574 -0.87 -0.03 -0.69
N 1.497 -0.178 0.283 0.10 -2.24 0.76
O 1.423 -0.268 1.521 0.14 0.08 0.60
O 1.673 1.049 -0.189 0.24 2.72 -0.79
H 1.631 0.177 -2.225 -0.67 -0.11 -0.16
H 2.669 -1.149 -2.303 -1.08 -0.29 0.06
H 0.917 -1.442 -2.706 0.20 0.26 0.47
H 1.048 -2.088 -0.192 0.70 0.28 0.14
H 1.297 1.645 0.498 0.38 -0.68 -0.20
C -2.964 0.954 1.933 -0.13 -0.12 0.70
C -2.270 0.546 0.896 1.19 -2.05 0.07
Cl -1.185 -0.874 1.066 -1.86 0.80 -0.33
Cl -2.268 1.254 -0.702 0.15 -0.09 0.91
H -3.181 0.483 2.918 0.87 0.09 -1.14
H -3.316 1.931 1.810 -1.20 1.26 -0.10
```
Positions in Å, forces in eV/Å.

Summary:
* 2S+1: 1
* energy above the lowest of the compared OMol25 structures with the same formula, charge and spin: 112.5 kcal per mole
* LUMO: 0.0223 hartree
* HOMO: -8.54 eV

# 2
C4H7Cl3N3 | wB97M-V/def2-TZVPD

```
17
Properties=species:S:1:pos:R:3:forces:R:3
C -0.009 2.198 0.090 1.20 0.81 -0.84
N 0.431 0.832 -0.095 2.17 -1.24 1.86
C 1.559 0.279 0.656 0.08 2.61 0.97
N 1.141 -0.949 1.436 0.77 -0.81 -0.07
N 0.095 -1.354 1.091 -0.44 -0.83 0.41
C -0.930 -1.159 0.362 0.37 0.08 -0.63
C -1.135 -1.708 -0.992 -0.19 -1.98 -1.20
Cl 0.337 -1.813 -1.959 0.15 -0.30 0.36
Cl -1.857 -3.385 -0.674 0.65 0.99 -0.23
Cl -2.304 -0.791 -1.910 -0.16 0.38 0.39
H -1.033 2.335 -0.227 -0.19 -0.13 -0.20
*/

**Solution**
Kohn-Sham gap = 9.12 eV
spin multiplicity = 1
ΔE to the lowest compared entry with this formula, charge and spin = 3.0 kcal per mole
total energy = -22955.52501 eV
lowest unoccupied orbital energy = -0.008 Eh
maximum force = 3.7 eV/A
HOMO = -0.344 Ha
molar mass = 332.9 g/mol

Here are the Löwdin charges for atoms 1 to 6, given in e: -0.228 -0.425 -0.253 -0.504 -0.748 0.178

No. 3
DFT (the ωB97M-V functional and the def2-TZVPD basis) results for C5H5N in the gas phase at a distorted geometry.

Positions of all 11 atoms, in Å:
C -1.1710 -2.2489 0.3976
C -0.4962 -1.3937 -0.1086
C 0.2962 -0.2799 -0.6079
C 0.0434 0.8944 0.3528
C 0.9141 2.0338 0.0734
N 1.5904 2.9258 -0.2151
H -1.7131 -3.0965 0.7417
H 1.3581 -0.5492 -0.6317
H 0.0032 -0.0431 -1.6369
H -0.9945 1.2248 0.2535
H 0.1695 0.5326 1.3812

Output
Kohn-Sham gap = 11.36 eV
spin multiplicity = 1
ΔE to the lowest compared entry with this formula, charge and spin = 46.7 kcal per mole
total energy = -6753.88091 eV
lowest unoccupied orbital energy = 0.028 Eh
maximum force = 1.1 eV/A
HOMO = -0.390 Ha
molar mass = 79.1 g/mol

Here are the Löwdin charges for atoms 1 to 6, given in e: 0.120 -0.163 -0.211 -0.190 -0.228 0.141

----------

# 1
C4H7Cl2NO2 | wB97M-V/def2-TZVPD

```
16
Properties=species:S:1:pos:R:3:forces:R:3
C 1.598 -0.896 -2.036 1.85 0.13 -0.27
C 1.430 -1.144 -0.574 -0.87 -0.03 -0.69
N 1.497 -0.178 0.283 0.10 -2.24 0.76
O 1.423 -0.268 1.521 0.14 0.08 0.60
O 1.673 1.049 -0.189 0.24 2.72 -0.79
H 1.631 0.177 -2.225 -0.67 -0.11 -0.16
H 2.669 -1.149 -2.303 -1.08 -0.29 0.06
H 0.917 -1.442 -2.706 0.20 0.26 0.47
H 1.048 -2.088 -0.192 0.70 0.28 0.14
H 1.297 1.645 0.498 0.38 -0.68 -0.20
C -2.964 0.954 1.933 -0.13 -0.12 0.70
C -2.270 0.546 0.896 1.19 -2.05 0.07
Cl -1.185 -0.874 1.066 -1.86 0.80 -0.33
Cl -2.268 1.254 -0.702 0.15 -0.09 0.91
H -3.181 0.483 2.918 0.87 0.09 -1.14
H -3.316 1.931 1.810 -1.20 1.26 -0.10
```
Positions in Å, forces in eV/Å.

Summary:
* 2S+1: 1
* energy above the lowest of the compared OMol25 structures with the same formula, charge and spin: 112.5 kcal per mole
* LUMO: 0.0223 hartree
* HOMO: -8.54 eV

# 2
C4H7Cl3N3 | wB97M-V/def2-TZVPD

```
17
Properties=species:S:1:pos:R:3:forces:R:3
C -0.009 2.198 0.090 1.20 0.81 -0.84
N 0.431 0.832 -0.095 2.17 -1.24 1.86
C 1.559 0.279 0.656 0.08 2.61 0.97
N 1.141 -0.949 1.436 0.77 -0.81 -0.07
N 0.095 -1.354 1.091 -0.44 -0.83 0.41
C -0.930 -1.159 0.362 0.37 0.08 -0.63
C -1.135 -1.708 -0.992 -0.19 -1.98 -1.20
Cl 0.337 -1.813 -1.959 0.15 -0.30 0.36
Cl -1.857 -3.385 -0.674 0.65 0.99 -0.23
Cl -2.304 -0.791 -1.910 -0.16 0.38 0.39
H -1.033 2.335 -0.227 -0.19 -0.13 -0.20